Seeking to identify a suspected poacher
/The Conservation Officer Service of BC is seeking to identify the following suspect:
On October 20th 2013 at approximately 8:10 am, near Mallory Rd in Creston BC, a witness heard a number of gun shots. The witness went to investigate and observed a male dragging a doe across the field.
Further investigation by the Conservation Officer Service determined that 3 mule deer does were killed out of season and left at the scene.
The suspect is described as:
- White male, slightly tanned
- 175 cm (5’10”), 81.6kg (180lb)
- Dark brown eyes
- Jet black hair, well maintained, short on the sides- longer on top
- Small “soul patch” under bottom lip
- High cheek bones
- Straight nose
- Rounded Chin
- Soft spoken and well mannered
At the time of the incident the suspect was wearing a camouflage jacket and dark pants. He was carrying a rifle with a synthetic stock and a blued barrel.
Anyone with any information is asked to contact:
Materials data, as found in the file
<<<
[1]
The following is a GGA-PBE calculation of CdHgW4 after structural relaxation, from Alexandria. Values from VASP.

The structure in Quantum ESPRESSO input format:
```
&SYSTEM
  ibrav = 0, nat = 6, ntyp = 3
/
ATOMIC_SPECIES
Cd 112.41 Cd.upf
Hg 200.59 Hg.upf
W 183.84 W.upf
CELL_PARAMETERS angstrom
0.000 3.820 3.820
3.820 0.000 3.820
3.820 3.820 0.000
ATOMIC_POSITIONS crystal
Cd 0.000 0.000 0.000
Hg 0.750 0.750 0.750
W 0.375 0.375 0.375
W 0.375 0.375 0.876
W 0.375 0.876 0.375
W 0.876 0.375 0.375
```

[2]
The following is a GGA-PBE calculation of MnCu2Pd8 after structural relaxation, from Alexandria. Values from VASP.

Values from the calculation:
E above lowest polymorph = 182.1 meV/atom

The structure in Quantum ESPRESSO input format:
```
&SYSTEM
  ibrav = 0, nat = 11, ntyp = 3
/
ATOMIC_SPECIES
Mn 54.94 Mn.upf
Cu 63.55 Cu.upf
Pd 106.42 Pd.upf
CELL_PARAMETERS angstrom
3.532 -5.839 0.000
3.532 5.839 0.000
-1.904 0.000 4.156
ATOMIC_POSITIONS crystal
Mn 0.000 0.000 0.000
Cu 0.308 0.692 0.500
Cu 0.692 0.308 0.500
Pd 0.093 0.325 0.620
Pd 0.218 0.782 0.000
Pd 0.325 0.093 0.620
Pd 0.391 0.391 0.187
Pd 0.609 0.609 0.813
Pd 0.675 0.907 0.380
Pd 0.782 0.218 0.000
Pd 0.907 0.675 0.380
```

[3]
The following is a GGA-PBE calculation of Pm3PrEr4 after structural relaxation, from Alexandria. Values from VASP.

Values from the calculation:
E above lowest polymorph = 6.4 meV/atom

The structure in Quantum ESPRESSO input format:
```
&SYSTEM
  ibrav = 0, nat = 16, ntyp = 3
/
ATOMIC_SPECIES
Pm 145.00 Pm.upf
Pr 140.91 Pr.upf
Er 167.26 Er.upf
CELL_PARAMETERS angstrom
11.489 0.000 0.000
0.000 7.304 0.000
0.000 0.000 6.288
ATOMIC_POSITIONS crystal
Pm 0.000 0.129 0.000
Pm 0.250 0.129 0.335
Pm 0.250 0.871 0.835
Pm 0.500 0.871 0.500
Pm 0.750 0.129 0.335
Pm 0.750 0.871 0.835
Pr 0.000 0.873 0.499
Pr 0.500 0.127 0.999
Er 0.000 0.379 0.502
Er 0.000 0.620 0.001
Er 0.250 0.379 0.834
Er 0.250 0.621 0.334
Er 0.500 0.380 0.501
Er 0.500 0.621 0.002
Er 0.750 0.379 0.834
Er 0.750 0.621 0.334
```
>>>
- Local RCMP detachment
- Crimestoppers- 1-800-222-TIPS(8477)
- Report a poacher or Polluter (RAPP line)- 1-877-952-RAPP(7277)
/The sponsors below are offering a reward to anyone who can provide information leading to the arrest and conviction of the person(s) responsible for the poaching of 2 bull elk in the Mount Sentinel area of Castlegar on April 5/6, 2014.
If you have information, you are requested to communicate, in confidence, anything that might pertain to the above-mentioned incident.
Please call the the BC Conservation Officer
24 Hour Hotline R.A.P.P.
Cellular Dial #7277
Report All Poachers and Polluters
This reward is sponsored by the following organizations and businesses:
- B.C. Wildlife Federation-up to $2000
- Castlegar & District Wildlife Assoc. - $500
- Nelson District Rod & Gun Club - $500
Between two parts of the text: records of crystals
┌──
1.
AlMoOs at its PBEsol-relaxed geometry, computed with meta-GGA SCAN.

Calculated values
- Symmetry: No. 107
- Fermi-level density of states: 0.515 states/eV per atom
- E_tot: -38.59 eV/atom

Unit cell a=2.9503 b=2.9503 c=5.3141 alpha=106.12 beta=106.12 gamma=90.00
Sites, in units of the cell vectors:
1 Mo 0.6706 0.6706 0.3412
2 Os 0.3354 0.3354 0.6707
3 Al 0.9940 0.9940 0.9881

***

2.
Nd4Rh at its PBEsol-relaxed geometry, computed with meta-GGA SCAN.

Calculated values
- Symmetry: No. 6
- Fermi-level density of states: 1.051 states/eV per atom
- E_tot: -42.00 eV/atom

Unit cell a=6.3457 b=7.0994 c=9.8399 alpha=90.00 beta=90.00 gamma=90.28
Sites, in units of the cell vectors:
1 Nd 0.8453 0.4764 0.0000
2 Nd 0.6539 0.9665 0.0000
3 Nd 0.1404 0.5331 0.5000
4 Nd 0.3464 0.0303 0.5000
5 Nd 0.3312 0.3193 0.8159
6 Nd 0.1604 0.8218 0.1833
7 Nd 0.6604 0.6775 0.3127
8 Nd 0.8254 0.1785 0.6812
9 Nd 0.6604 0.6775 0.6873
10 Nd 0.8254 0.1785 0.3188
11 Nd 0.3312 0.3193 0.1841
12 Nd 0.1604 0.8218 0.8167
13 Rh 0.4181 0.6195 0.0000
14 Rh 0.9195 0.8789 0.5000
15 Rh 0.5635 0.3793 0.5000

***

3.
ScIn5 at its PBEsol-relaxed geometry, computed with meta-GGA SCAN.

Calculated values
- Symmetry: No. 65
- Fermi-level density of states: 0.534 states/eV per atom
- E_tot: -30.38 eV/atom

Unit cell a=4.3449 b=4.4085 c=7.5784 alpha=73.09 beta=90.00 gamma=90.00
Sites, in units of the cell vectors:
1 In 0.5000 0.3343 0.3314
2 In 0.0000 0.1568 0.6863
3 In 0.5000 0.0000 0.0000
4 In 0.0000 0.8432 0.3137
5 In 0.5000 0.6657 0.6686
6 Sc 0.0000 0.5000 0.0000

***

4.
LiTc2Pb at its PBEsol-relaxed geometry, computed with meta-GGA SCAN.

Calculated values
- Symmetry: No. 99
- Fermi-level density of states: 0.433 states/eV per atom
- E_tot: -36.91 eV/atom

Unit cell a=3.0711 b=3.0711 c=6.6526 alpha=90.00 beta=90.00 gamma=90.00
Sites, in units of the cell vectors:
1 Li 0.0000 0.0000 0.4696
2 Pb 0.5000 0.5000 0.7340
3 Tc 0.0000 0.0000 0.0447
4 Tc 0.5000 0.5000 0.2517

***

5.
Sr2LiPd2 at its PBEsol-relaxed geometry, computed with meta-GGA SCAN.

Calculated values
- Offset from the most stable computed form: 0 meV/atom
- Symmetry: No. 127
- Fermi-level density of states: 0.467 states/eV per atom
- E_tot: -22.97 eV/atom

Unit cell a=4.2457 b=7.7168 c=7.7168 alpha=90.00 beta=90.00 gamma=90.00
Sites, in units of the cell vectors:
1 Sr 0.5000 0.1710 0.6710
2 Sr 0.5000 0.6710 0.8290
3 Sr 0.5000 0.8290 0.3290
4 Sr 0.5000 0.3290 0.1710
5 Pd 0.0000 0.3753 0.8753
6 Pd 0.0000 0.8753 0.6247
7 Pd 0.0000 0.6247 0.1247
8 Pd 0.0000 0.1247 0.3753
9 Li 0.0000 0.0000 0.0000
10 Li 0.0000 0.5000 0.5000

***

6.
Zr3Be at its PBEsol-relaxed geometry, computed with meta-GGA SCAN.

Calculated values
- Offset from the most stable computed form: 57 meV/atom
- Symmetry: No. 44
- Fermi-level density of states: 0.741 states/eV per atom
- E_tot: -24.05 eV/atom

Unit cell a=3.1736 b=4.7909 c=5.7842 alpha=114.46 beta=105.92 gamma=90.00
Sites, in units of the cell vectors:
1 Be 0.0000 0.0818 0.0000
└──
Here the text continues
West Kootenay Big Game Trophy Assoc. - $500
Trail Wildlife Assoc. - $500
Valley Firearms, Trail - $500
2014 Pat Archibald Award - John Harmston
/March 1, 2014
The Pat Archibald Annual Memorial Trophy is awarded by the Trail Wildlife Association (TWA) to a person(s), or businesses whose goals, like those exemplified by Pat, are to protect, enhance and promote the wise use of the environment for the benefit of present and future generations and have not been recognized for their efforts.
This award is presented annually at the West Kootenay Big Game Trophy Association Awards banquet.
Tonight this presentation will be awarded to one of the current Trail Wildlife Association executive members for his hard work and service. He is one of those volunteers who have done a lot of behind the scenes work and he has done it so quietly and efficiently that it often goes unnoticed by the rest of the executive and the membership.
An active member of the Trail Wildlife Association member since the early 1990’s; he has organized the Violin lake fishing day, helped out with tree planting projects, worked on the Murphy Creek spawning channel project and also helped out with the Rocky Mountain Goat Transplant when goats were brought from the East Kootenay and released north of Trail.
He has represented the TWA at many meetings over the years:
Just name a few:
- West Kootenay Outdoorsman
BC Wildlife Federation Conventions
Hunting Regulation Reviews with the BC Ministry personnel and other interested wildlife groups.
Waneta Terrestrial Compensation Program (WTCP) that provides funding to eligible conservation projects in the Waneta area.
He started out as out treasurer and later added a second job as the secretary/treasurer. Ever since he took on both of these jobs he has kept the TWA running smoothly and efficiently.
It’s an honor to present this year’s Pat Archibald Annual Memorial Trophy to our Secretary/Treasurer John Harmston.
Wildlife Awareness Week
/February 17th – 22nd, 2014
Trail Wildlife Association Awareness Week a Success
This was the 5th Annual Wildlife Association (TWA) Awareness Week held at the Waneta Mall and it was a tremendous success. We would like to thank all those people that attended the display, purchased raffle tickets and offered words of encouragement for the conservation work that we do.
We would also like to thank all the venues and their volunteers and sponsors that took the time to participate in this event. Special thanks to the Waneta Mall for allowing us this time slot and to the Trail Times for their coverage of the event. The executive of the Trail Wildlife also would like to thank Terry Hanik TWA President for all his hard work in organizing this event for the past 5 years.
The winner of the box of goodies at the TWA table this year was Alyssa Berdusco.
Displays by;
- BC Conservation Officers
Bear Aware
Bill Radulovich – Wildlife Paintings
Boy Scouts Canada
David Palmer – Inlaid Carvings
John Lind – Carvings & Paintings
Kootenay South Metis Nation
West Kootenay Archers
West Kootenay ATV Club
West Kootenay Big Game Trophy Association
West Kootenay Fly Fishermen
West Kootenay Marksmen and IPSC & Cowboy
Playmor Power Products Ltd.
Secret Creek Supplies
Trail Wildlife Association
Valley Firearms